# Request
Now write out all of the data further down unchanged.

# Entries
- - -
Molecular formula: CHN4O3S2
Method: DFT, ωB97M-V with the def2-TZVPD basis set

Last column: Löwdin spin population.
Element x y z (Å)
C  0.1579  -0.7258  0.5992  0.012
N  0.6561  -2.7352  0.5084  0.002
N  -0.3202  -1.9223  0.3137  0.002
N  1.4668  -0.8245  0.8583  0.000
N  1.7424  -2.0946  0.8449  0.000
O  -1.9386  0.7648  1.0642  0.031
O  -1.1151  0.3765  -1.5000  0.012
O  -0.0244  1.9892  0.1845  0.391
S  0.4215  2.7919  -1.2353  1.436
S  -0.8576  0.6245  0.1375  0.039
H  -0.1888  1.7555  -1.7756  0.076

Computed properties:
Energy relative to the best compared isomer or geometry (same formula, charge and spin) ... 0.000 eV
Total charge ... -1
DFT total energy ... -34821.4225 eV
Spin multiplicity ... 3
<S²> ... 2.005
LUMO (spin up / spin down) ... 2.97 / 0.45 eV
HOMO-LUMO gap (spin up / spin down) ... 6.69 / 6.55 eV

---

Molecular formula: C9H12BO14P2S
Method: DFT, ωB97M-V with the def2-TZVPD basis set

Last column: Mulliken charge in e.
Element x y z (Å)
C  -2.4237  1.1519  4.2507  -0.624
C  -1.8102  2.5342  3.7198  -0.460
C  -1.8575  2.7232  2.1384  0.560
O  -2.9304  3.0703  1.5736  -0.501
O  -0.7252  2.5742  1.2650  -0.281
C  -0.1994  1.2261  1.3241  -0.211
C  -0.7114  0.2849  0.0950  -0.138
O  -0.3044  -1.0703  0.4434  -0.238
P  -1.3583  -2.2553  -0.1500  0.864
O  -0.9958  -2.5183  -1.6243  -0.636
O  -0.9712  -3.6961  0.7095  -0.521
O  -3.0174  -1.8692  -0.0399  -0.271
P  -3.4681  -1.3083  1.5187  0.287
S  -4.6928  0.2054  1.2412  -0.323
H  -2.7549  1.1819  5.3527  0.335
H  -3.3887  0.9628  3.6497  0.029
H  -1.7448  0.2472  4.0699  0.187
H  -2.4416  3.3737  4.1912  0.348
H  -0.7490  2.6407  4.1461  0.287
H  0.9448  1.2495  1.2217  0.272
H  -0.4171  0.6813  2.3113  0.104
H  -0.1576  0.7001  -0.8289  0.048
H  -1.8235  0.4195  -0.1218  0.346
H  -1.2881  -4.4732  0.1815  0.348
H  -4.1717  -2.2955  2.2814  0.118
H  -2.3270  -0.8599  2.2937  0.080
B  3.5209  -0.3756  -3.4788  1.206
O  4.8533  -0.9815  -3.3168  -0.507
C  4.8743  -2.0906  -4.0576  0.601
O  5.8245  -2.8292  -4.1502  -0.613
C  3.5787  -2.2588  -4.7268  0.587
O  3.2729  -3.1605  -5.4682  -0.611
O  2.7698  -1.2518  -4.3928  -0.477
O  2.8351  -0.2557  -2.1792  -0.588
C  2.5723  1.0352  -1.9914  0.753
O  2.0132  1.4821  -1.0156  -0.595
C  3.0633  1.8102  -3.1378  0.375
O  2.9809  3.0066  -3.2747  -0.616
O  3.6256  0.9887  -4.0239  -0.527

Computed properties:
Total charge ... -1
DFT total energy ... -68290.2695 eV
LUMO ... 1.60 eV
HOMO-LUMO gap ... 8.83 eV

---

Molecular formula: C14H8AuBr3N2OS3Sb
Method: DFT, ωB97M-V with the def2-TZVPD basis set

Last column: Löwdin spin population.
Element x y z (Å)
Au  -1.1653  1.5179  0.5119  0.001
S  -0.4133  4.5096  3.6003  0.000
Sb  -2.2000  4.5542  2.2017  0.000
S  -2.7254  2.1168  2.0448  0.000
S  -1.2528  3.7539  0.0498  0.001
Br  0.5007  -2.3331  -3.1775  0.066
C  0.0064  -2.6096  -1.4068  0.217
C  0.1325  -3.8563  -0.8316  -0.018
C  -0.2497  -4.0604  0.4846  0.250
Br  -0.1160  -5.7936  1.1764  0.075
C  -0.7255  -2.9903  1.3212  0.009
C  -1.0916  -3.1388  2.6713  0.030
C  -1.4732  -2.0296  3.3792  -0.013
C  -1.4686  -0.7822  2.7472  0.031
N  -1.1511  -0.6316  1.4763  0.002
C  -0.8108  -1.7100  0.7645  0.058
C  -0.5487  -1.4901  -0.6728  0.062
O  -0.8015  -0.4112  -1.1872  0.225
H  0.5219  -4.6775  -1.4156  -0.005
H  -1.0686  -4.1161  3.1322  0.002
H  -1.7624  -2.0956  4.4177  -0.001
H  -1.7148  0.1289  3.2827  0.001
Br  3.7327  3.3575  -4.2680  0.000
C  2.5020  2.7335  -2.9826  0.000
C  2.8408  2.7310  -1.6405  0.000
C  1.8955  2.2710  -0.7386  0.000
N  0.6982  1.8282  -1.1066  0.005
C  0.3861  1.8350  -2.3996  0.001
C  1.2541  2.2824  -3.3797  0.000
H  3.8030  3.0818  -1.2989  0.000
H  2.1013  2.2760  0.3249  0.000
H  -0.5970  1.4695  -2.6617  0.000
H  0.9609  2.2787  -4.4190  0.000

Computed properties:
Energy relative to the best compared isomer or geometry (same formula, charge and spin) ... 0.622 eV
DFT total energy ... -272538.0353 eV
Spin multiplicity ... 2
<S²> ... 0.791
- - -

# Response
Molecular formula: CHN4O3S2
Method: DFT, ωB97M-V with the def2-TZVPD basis set

Last column: Löwdin spin population.
Element x y z (Å)
C  0.1579  -0.7258  0.5992  0.012
N  0.6561  -2.7352  0.5084  0.002
N  -0.3202  -1.9223  0.3137  0.002
N  1.4668  -0.8245  0.8583  0.000
N  1.7424  -2.0946  0.8449  0.000
O  -1.9386  0.7648  1.0642  0.031
O  -1.1151  0.3765  -1.5000  0.012
O  -0.0244  1.9892  0.1845  0.391
S  0.4215  2.7919  -1.2353  1.436
S  -0.8576  0.6245  0.1375  0.039
H  -0.1888  1.7555  -1.7756  0.076

Computed properties:
Energy relative to the best compared isomer or geometry (same formula, charge and spin) ... 0.000 eV
Total charge ... -1
DFT total energy ... -34821.4225 eV
Spin multiplicity ... 3
<S²> ... 2.005
LUMO (spin up / spin down) ... 2.97 / 0.45 eV
HOMO-LUMO gap (spin up / spin down) ... 6.69 / 6.55 eV

---

Molecular formula: C9H12BO14P2S
Method: DFT, ωB97M-V with the def2-TZVPD basis set

Last column: Mulliken charge in e.
Element x y z (Å)
C  -2.4237  1.1519  4.2507  -0.624
C  -1.8102  2.5342  3.7198  -0.460
C  -1.8575  2.7232  2.1384  0.560
O  -2.9304  3.0703  1.5736  -0.501
O  -0.7252  2.5742  1.2650  -0.281
C  -0.1994  1.2261  1.3241  -0.211
C  -0.7114  0.2849  0.0950  -0.138
O  -0.3044  -1.0703  0.4434  -0.238
P  -1.3583  -2.2553  -0.1500  0.864
O  -0.9958  -2.5183  -1.6243  -0.636
O  -0.9712  -3.6961  0.7095  -0.521
O  -3.0174  -1.8692  -0.0399  -0.271
P  -3.4681  -1.3083  1.5187  0.287
S  -4.6928  0.2054  1.2412  -0.323
H  -2.7549  1.1819  5.3527  0.335
H  -3.3887  0.9628  3.6497  0.029
H  -1.7448  0.2472  4.0699  0.187
H  -2.4416  3.3737  4.1912  0.348
H  -0.7490  2.6407  4.1461  0.287
H  0.9448  1.2495  1.2217  0.272
H  -0.4171  0.6813  2.3113  0.104
H  -0.1576  0.7001  -0.8289  0.048
H  -1.8235  0.4195  -0.1218  0.346
H  -1.2881  -4.4732  0.1815  0.348
H  -4.1717  -2.2955  2.2814  0.118
H  -2.3270  -0.8599  2.2937  0.080
B  3.5209  -0.3756  -3.4788  1.206
O  4.8533  -0.9815  -3.3168  -0.507
C  4.8743  -2.0906  -4.0576  0.601
O  5.8245  -2.8292  -4.1502  -0.613
C  3.5787  -2.2588  -4.7268  0.587
O  3.2729  -3.1605  -5.4682  -0.611
O  2.7698  -1.2518  -4.3928  -0.477
O  2.8351  -0.2557  -2.1792  -0.588
C  2.5723  1.0352  -1.9914  0.753
O  2.0132  1.4821  -1.0156  -0.595
C  3.0633  1.8102  -3.1378  0.375
O  2.9809  3.0066  -3.2747  -0.616
O  3.6256  0.9887  -4.0239  -0.527

Computed properties:
Total charge ... -1
DFT total energy ... -68290.2695 eV
LUMO ... 1.60 eV
HOMO-LUMO gap ... 8.83 eV

---

Molecular formula: C14H8AuBr3N2OS3Sb
Method: DFT, ωB97M-V with the def2-TZVPD basis set

Last column: Löwdin spin population.
Element x y z (Å)
Au  -1.1653  1.5179  0.5119  0.001
S  -0.4133  4.5096  3.6003  0.000
Sb  -2.2000  4.5542  2.2017  0.000
S  -2.7254  2.1168  2.0448  0.000
S  -1.2528  3.7539  0.0498  0.001
Br  0.5007  -2.3331  -3.1775  0.066
C  0.0064  -2.6096  -1.4068  0.217
C  0.1325  -3.8563  -0.8316  -0.018
C  -0.2497  -4.0604  0.4846  0.250
Br  -0.1160  -5.7936  1.1764  0.075
C  -0.7255  -2.9903  1.3212  0.009
C  -1.0916  -3.1388  2.6713  0.030
C  -1.4732  -2.0296  3.3792  -0.013
C  -1.4686  -0.7822  2.7472  0.031
N  -1.1511  -0.6316  1.4763  0.002
C  -0.8108  -1.7100  0.7645  0.058
C  -0.5487  -1.4901  -0.6728  0.062
O  -0.8015  -0.4112  -1.1872  0.225
H  0.5219  -4.6775  -1.4156  -0.005
H  -1.0686  -4.1161  3.1322  0.002
H  -1.7624  -2.0956  4.4177  -0.001
H  -1.7148  0.1289  3.2827  0.001
Br  3.7327  3.3575  -4.2680  0.000
C  2.5020  2.7335  -2.9826  0.000
C  2.8408  2.7310  -1.6405  0.000
C  1.8955  2.2710  -0.7386  0.000
N  0.6982  1.8282  -1.1066  0.005
C  0.3861  1.8350  -2.3996  0.001
C  1.2541  2.2824  -3.3797  0.000
H  3.8030  3.0818  -1.2989  0.000
H  2.1013  2.2760  0.3249  0.000
H  -0.5970  1.4695  -2.6617  0.000
H  0.9609  2.2787  -4.4190  0.000

Computed properties:
Energy relative to the best compared isomer or geometry (same formula, charge and spin) ... 0.622 eV
DFT total energy ... -272538.0353 eV
Spin multiplicity ... 2
<S²> ... 0.791